Monopoly Is the Problem

I have no doubt that the residents of Sandy Springs are enjoying the benefits that Leonard Gilroy describes, and I never said that “we should not embrace smaller steps in the interim that measurably improve outcomes for taxpayers today.”

Nevertheless, we’ve taken our eye off the ball. My opening essay was about truly competitive privatization—“socialization”—and radically shrinking government, not how to make the residents’ money go further, as worthwhile as that is. By the standard I set out, Sandy Springs is not relevant unless it can be judged as steps that can reasonably be expected to lead to competitive markets in what are now government services. (It might be a useful lesson in secession—which would please me no end! Secession and ever-smaller political jurisdictions are to be desired: They make voting with one’s feet cheaper and more feasible.)

Mr. Gilroy writes, “The major lesson learned from Sandy Springs for most observers that I’m familiar with—and one that goes a long way toward changing societal mental maps on the larger role of government—is that there’s very little that local governments do day-to-day that cannot be handled by the private sector.” That is incomplete. It should have read: There’s very little that local governments do day-to-day that cannot be handled by the private sector under exclusive contract to a coercive monopoly. That, I submit, is an essentially different lesson. Mr. Gilroy’s version may have some value, but it is not the same as teaching folks that government is unneeded to provide public services. I still do not see how government contracting can provide proof to “a skeptical public … that ideas like privatization work on a smaller scale” without equivocating over the word privatization and blurring the line between private and public sector.

Monopoly—not who pays the workers—is the fundamental problem. Contracting out leaves it unaddressed.

Also from this issue

Lead Essay

[Calculated molecules, kept here for reference]
<<<
# 1
Molecular formula: C66H165N11O22
Method: DFT, the ωB97M-V functional and the def2-TZVPD basis

Last column: Löwdin charge in e.
Geometry (Å):
1 C 0.320 -4.879 -3.845  -0.083
2 O 0.732 -3.742 -4.621  -0.184
3 C 1.877 -3.948 -5.369  -0.281
4 C 2.284 -2.617 -5.934  -0.219
5 N 2.790 -1.684 -4.912  -0.040
6 C 2.858 -0.349 -5.442  -0.249
7 C 3.430 0.669 -4.509  -0.206
8 O 2.457 0.959 -3.464  -0.174
9 C 2.962 1.894 -2.599  -0.162
10 H -0.044 -5.652 -4.522  0.083
11 H -0.535 -4.568 -3.244  0.085
12 H 1.120 -5.303 -3.240  0.085
13 H 1.763 -4.562 -6.262  0.120
14 H 2.654 -4.408 -4.757  0.125
15 H 1.445 -2.263 -6.532  0.121
16 H 3.058 -2.926 -6.637  0.117
17 H 2.240 -1.738 -4.067  0.110
18 H 1.858 -0.022 -5.727  0.122
19 H 3.466 -0.348 -6.346  0.123
20 H 3.632 1.519 -5.161  0.118
21 H 4.389 0.354 -4.099  0.124
22 H 3.128 2.872 -3.053  0.088
23 H 3.840 1.516 -2.077  0.090
24 H 2.196 2.091 -1.849  0.084
25 C -2.803 0.579 -11.562  -0.076
26 O -4.077 1.016 -11.003  -0.185
27 C -4.043 1.641 -9.747  -0.239
28 C -4.027 3.179 -9.906  -0.173
29 N -2.835 3.808 -10.585  -0.050
30 C -1.581 3.437 -9.928  -0.225
31 C -0.472 4.208 -10.587  -0.259
32 O -0.093 3.716 -11.853  -0.182
33 C 1.337 3.810 -12.058  -0.095
34 H -2.154 0.091 -10.834  0.085
35 H -2.309 1.458 -11.976  0.064
36 H -2.874 -0.057 -12.445  0.082
37 H -3.207 1.254 -9.165  0.108
38 H -4.938 1.399 -9.175  0.115
39 H -4.127 3.651 -8.929  0.106
40 H -4.923 3.493 -10.441  0.110
41 H -2.799 3.653 -11.583  0.100
42 H -1.305 2.393 -10.077  0.103
43 H -1.621 3.763 -8.889  0.130
44 H 0.423 4.111 -9.973  0.109
45 H -0.773 5.256 -10.580  0.126
46 H 1.841 3.136 -11.365  0.080
47 H 1.786 4.763 -11.777  0.081
48 H 1.647 3.593 -13.080  0.085
49 C 16.067 -1.550 -0.752  -0.113
50 O 15.318 -2.720 -0.982  -0.207
51 C 13.913 -2.568 -1.044  -0.210
52 C 13.163 -3.919 -1.101  -0.191
53 N 13.256 -4.569 0.201  -0.049
54 C 12.342 -4.051 1.264  -0.201
55 C 10.883 -4.138 0.909  -0.231
56 O 10.550 -2.939 0.204  -0.193
57 C 9.183 -2.877 -0.148  -0.116
58 H 15.956 -0.775 -1.510  0.085
59 H 17.106 -1.866 -0.651  0.088
60 H 15.754 -1.133 0.205  0.082
61 H 13.574 -1.871 -1.810  0.122
62 H 13.737 -2.148 -0.053  0.105
63 H 13.481 -4.486 -1.976  0.111
64 H 12.135 -3.852 -1.457  0.106
65 H 14.197 -4.443 0.547  0.092
66 H 12.573 -3.054 1.640  0.108
67 H 12.545 -4.667 2.141  0.115
68 H 10.309 -4.227 1.832  0.117
69 H 10.710 -5.092 0.411  0.128
70 H 8.789 -3.659 -0.798  0.083
71 H 9.003 -1.941 -0.676  0.087
72 H 8.585 -2.945 0.760  0.082
73 C 1.760 0.282 2.589  -0.091
74 O 0.957 -0.075 1.457  -0.206
75 C -0.175 -0.833 1.808  -0.223
76 C -0.910 -1.185 0.446  -0.176
77 N -1.384 0.058 -0.199  -0.070
78 C -2.194 -0.142 -1.431  -0.183
79 C -3.614 -0.597 -1.059  -0.264
80 O -4.463 -0.573 -2.177  -0.182
81 C -5.812 -0.641 -1.783  -0.110
82 H 1.138 0.785 3.331  0.082
83 H 2.545 0.964 2.262  0.086
84 H 2.210 -0.594 3.056  0.084
85 H -0.858 -0.320 2.484  0.114
86 H 0.139 -1.785 2.237  0.113
87 H -1.699 -1.928 0.566  0.108
88 H -0.137 -1.614 -0.190  0.109
>>>

  • In a sweeping essay, Sheldon Richman explains why private property and free competition are superior to state-provided goods and services. He warns against granting “private” corporate monopolies, which are not true privatizations, but act as arms of the state. He adds that for many state activities, the best way to privatize is not to provide the service at all — as in the case of punishing victimless crimes, which no one should do. For legitimate services, he recommends a “homesteading” approach, in which stakeholders in a public service, such as a school, would receive shares in a new, independent corporation.

Response Essays

  • Leonard Gilroy argues for the benefits of incremental privatization. The general public, he writes, must still be convinced that private entities can perform many of the services that have for a long time been provided by monopoly government entities. To win them over, demonstrations will be necessary, and these should be incremental in nature. Gilroy cites several such attempts and argues that they have successfully built support for the idea of privatization.

(The entry is interrupted by molecular data)
=====
Entry 1:
Here is a structure of composition C37H33N3PtSSb2 at a distorted geometry from OMol25. Energies are from wB97M-V/def2-TZVPD.

The geometry in ORCA input format:
```
! RIJCOSX wB97M-V def2-TZVPD def2/J DEFGRID3
* xyz 2 1
Pt -0.023 -0.200 0.225
C -1.014 -3.175 1.573
C -0.112 -4.235 0.912
C 1.367 -3.793 0.879
Sb 1.564 -2.131 -0.410
C 3.568 -1.556 -0.358
C 4.058 -0.658 -1.308
C 5.383 -0.250 -1.246
C 6.210 -0.725 -0.235
C 5.721 -1.612 0.713
C 4.395 -2.030 0.660
C 1.252 -3.055 -2.258
C 1.203 -2.288 -3.421
C 1.027 -2.900 -4.652
C 0.901 -4.282 -4.724
C 0.963 -5.051 -3.571
C 1.138 -4.443 -2.330
Sb -2.673 -2.227 0.556
C -3.405 -4.059 -0.180
C -3.863 -4.231 -1.487
C -4.339 -5.471 -1.899
C -4.370 -6.536 -1.009
C -3.915 -6.369 0.294
C -3.437 -5.135 0.710
C -2.455 -1.035 -1.165
C -1.284 -0.525 -1.767
C -1.323 0.310 -2.885
C -2.546 0.626 -3.443
C -3.721 0.152 -2.861
C -3.680 -0.651 -1.732
H -0.440 -2.343 1.953
H -1.591 -3.585 2.402
H -0.454 -4.487 -0.093
H -0.186 -5.159 1.486
H 2.017 -4.583 0.500
H 1.727 -3.519 1.867
H 3.424 -0.283 -2.104
H 5.771 0.440 -1.984
H 7.242 -0.399 -0.186
H 6.371 -1.982 1.496
H 4.027 -2.727 1.404
H 1.327 -1.213 -3.381
H 0.993 -2.303 -5.555
H 0.763 -4.762 -5.685
H 0.880 -6.129 -3.630
H 1.197 -5.065 -1.448
H -3.845 -3.411 -2.198
H -4.692 -5.601 -2.914
H -4.758 -7.495 -1.327
H -3.942 -7.198 0.989
H -3.105 -5.022 1.736
H -0.261 -0.821 -1.397
H -0.410 0.676 -3.337
H -2.591 1.238 -4.335
H -4.678 0.421 -3.291
H -4.611 -0.973 -1.280
N -0.251 1.685 3.817
C 0.308 0.566 4.432
C 0.558 0.292 5.773
C 1.152 -0.918 6.048
C 1.500 -1.811 5.016
C 1.237 -1.526 3.694
C 0.607 -0.317 3.407
N 0.207 0.269 2.188
C -0.281 1.462 2.502
C -0.789 2.355 1.472
C -1.004 3.686 1.460
S -1.499 4.154 -0.101
C -1.377 2.562 -0.653
N -1.014 1.712 0.273
H -0.592 2.511 4.283
H 0.312 0.997 6.557
H 1.368 -1.183 7.074
H 1.992 -2.741 5.269
H 1.533 -2.209 2.914
H -0.868 4.409 2.251
H -1.613 2.275 -1.668
*
```

Computed properties:
HOMO energy   -12.51 eV
ΔE to the lowest compared entry with this formula, charge and spin   20.6 kcal/mol

These are the Mulliken partial charges, in e, on atoms 1 to 5:
1 Pt 0.354
2 C -0.191
3 C -0.166
4 C -1.612
5 Sb 1.645

=====

Entry 2:
Here is a structure of composition C37H33N4OP2Ru at a distorted geometry from OMol25. Energies are from wB97M-V/def2-TZVPD.

The geometry in ORCA input format:
```
! RIJCOSX wB97M-V def2-TZVPD def2/J DEFGRID3
* xyz 3 1
Ru 0.731 0.096 0.131
N -2.149 0.603 -0.440
P -0.883 1.742 -0.347
C -0.728 2.680 -1.852
C -1.815 2.803 -2.717
C -1.711 3.623 -3.831
C -0.538 4.329 -4.068
C 0.542 4.215 -3.199
C 0.453 3.389 -2.092
C -1.339 2.906 0.939
C -0.641 4.115 1.031
C -0.985 5.038 2.005
C -2.033 4.774 2.877
C -2.744 3.584 2.777
C -2.395 2.649 1.816
P -1.379 -0.758 0.133
C -2.438 -1.656 1.220
C -2.822 -2.942 0.814
C -3.731 -3.656 1.578
C -4.239 -3.105 2.745
C -3.847 -1.835 3.160
C -2.948 -1.108 2.405
C -0.673 -1.734 -1.153
C 0.293 -2.692 -0.785
C 0.895 -3.461 -1.772
C 0.508 -3.301 -3.093
C -0.485 -2.379 -3.455
=====
(The molecular data stop here)

  • Professor Stevenson agrees that much so-called privatization does not deserve the name. It both fails to shrink the government and also creates new constituencies for government spending–the private firms who win lucrative contracts. That said, we must think very carefully about what a more privatized world would look like, and whether we would really prefer it in all cases. Are we comfortable, for example, with the largely religious education system that would likely replace state-run schools?

  • Randal O’Toole argues that the difference between success and failure in privatization is primarily a matter of incentives. He cites examples of failed incentive structures, like British Rail and New Zealand’s fishing quota system, as well as some successes: Denver’s Regional Transit District has contracted bus service that runs for half the cost of its government-operated lines, and Atlantic City has an entirely private bus fleet.